The Aurelius House Family Organization in Strathnora | World Anvil

The Aurelius House Family

The Aurelius House is a noble family in Mezrillia known for its scholarly pursuits, magical expertise, and contributions to the city's intellectual and arcane endeavors. Members of the Aurelius House have a deep connection to magical arts, and their influence extends to the magical academies in Three Shades.  


Despite their magical prowess, the Aurelius family may face challenges such as competition with other magical families, navigating political intrigues related to magical affairs, and occasionally dealing with the ethical implications of certain magical practices.  


The Aurelius House's legacy is deeply intertwined with Mezrillia's magical heritage. Their contributions to magical education, artifact crafting, and arcane research have left an indelible mark on the city's identity, making them both respected and integral to Mezrillia's cultural landscape.

Between two parts of the page: records of molecules =
[1]
174
Properties=species:S:1:pos:R:3:mulliken_charge:R:1 method="wB97M-V/def2-TZVPD" homo_energy_ev="-7.7192 / -7.7192" e_lumo_ev="-0.124 / -4.676" multiplicity=2
O 1.574 -1.631 -1.390 -0.488
O 1.666 -0.736 0.756 -0.039
O 7.540 -3.177 5.144 -0.257
O 0.700 3.049 -2.556 0.098
O 2.040 2.593 3.755 -0.651
O 0.632 -0.718 -5.226 -0.322
O -1.260 -0.662 -1.076 0.109
O 0.848 -3.647 -4.268 0.053
O 0.718 -0.548 3.005 -0.657
O -3.269 -4.282 -6.822 -0.057
O 1.515 -4.213 3.722 -0.418
O -0.506 0.069 0.921 -0.496
O 0.268 -7.361 6.632 -0.239
O 1.276 1.382 1.898 -0.642
O 5.450 -0.925 2.900 -0.517
O -3.925 2.379 -3.938 -0.421
O -5.595 -1.029 -0.639 -0.366
O -0.261 -2.705 -8.862 -0.113
O -0.764 6.303 4.497 -0.285
O -4.058 10.393 1.814 -0.332
O 1.393 -0.015 5.201 -0.636
N -0.134 3.795 0.952 -0.304
N -1.838 -1.051 -7.006 0.218
N -1.895 -3.406 -4.302 0.337
N 1.685 -4.964 6.262 -0.160
N 5.353 -1.717 5.535 0.051
N -2.699 9.482 3.863 -0.391
N -3.525 1.104 -1.344 0.193
C -5.113 10.762 1.079 -0.851
C 0.896 3.096 -1.093 -0.576
C 2.054 -4.284 -4.532 -1.020
C -3.653 2.641 -5.320 -0.586
C 1.763 3.662 -3.277 -1.102
C -2.321 10.917 3.566 -0.612
C -2.415 -1.371 -8.360 -0.402
C -3.847 -4.541 -5.596 -0.856
C -1.411 -1.969 -9.397 -0.825
C -5.940 -2.366 -0.815 -0.572
C 0.806 -6.640 7.815 -0.548
C -0.379 0.294 -5.395 0.399
C 1.758 -3.506 6.015 -0.825
C 0.353 4.288 -0.318 1.001
C 7.065 -3.112 6.457 -0.643
C -3.578 11.353 2.739 -0.548
C 6.324 -1.788 6.580 -0.811
C -1.559 8.685 4.421 -0.601
C -1.186 4.918 4.517 -0.537
C -2.751 2.642 -3.093 -0.012
C -0.399 -0.538 -0.207 0.052
C -0.267 -8.666 6.835 -0.781
C 1.325 -0.470 -3.968 -0.276
C 4.500 -0.269 3.697 0.436
C -4.211 -4.474 -7.873 -0.974
C 2.327 -3.409 4.588 0.288
C 1.581 1.602 3.212 0.459
C -4.261 -0.887 -0.015 -0.485
C -1.171 -3.536 -2.987 0.360
C 0.304 -3.526 -9.901 -0.900
C -1.877 7.150 4.809 -0.497
C 0.121 -4.260 -3.221 -1.145
C -3.819 0.690 0.093 -0.109
C -2.597 -4.646 -4.636 -0.805
C 1.219 0.269 3.965 0.391
C 1.108 -1.004 -0.397 0.341
C 1.156 -5.198 7.639 -0.622
C 4.887 -0.374 5.211 -1.031
C 8.575 -4.156 5.015 -0.857
C -2.913 2.405 -1.597 -0.197
C 1.367 5.364 -0.039 -1.842
C 5.264 -0.800 1.454 -0.637
C 2.011 -4.107 2.413 -0.592
C -0.972 0.177 -6.842 -1.453
B 0.770 0.032 1.655 1.255
H 5.863 -1.742 7.567 0.323
H -2.964 -0.535 -8.793 0.422
H -2.173 7.058 5.854 0.302
H 1.944 0.426 -4.008 0.448
H -6.056 10.797 1.625 0.329
H 5.724 -1.969 4.630 0.327
H 3.541 -0.707 3.420 -0.679
H 4.305 -1.214 1.143 0.130
H 3.957 -0.184 5.746 0.266
H -6.049 -2.867 0.146 0.304
H 8.343 -5.189 5.271 0.306
H -0.124 0.181 -7.527 0.385
H -4.370 -5.497 -5.593 0.463
H 7.089 -1.013 6.625 0.408
H 1.518 5.792 -1.030 0.477
H -2.062 -5.485 -5.081 0.192
H -2.700 -0.816 -6.534 0.138
H -1.948 2.394 -1.092 -0.009
H -3.421 -1.424 -0.455 0.214
H 0.346 -4.477 7.752 0.325
H -6.952 -2.345 -1.220 0.236
H -3.155 -2.169 -8.305 -0.146
H 1.720 -3.166 1.945 0.020
H 1.615 -7.145 8.344 0.368
H -5.272 10.065 0.256 0.275
H -4.650 -3.825 -5.424 0.408
H -1.753 -3.978 -2.179 0.541
Here the page continues =


Lord Valerius Aurelius:
Lord Valerius is the patriarch of the Aurelius House, a wise and accomplished wizard. He is known for his extensive knowledge of magical history and his leadership in magical academia. Lord Valerius often serves as an advisor to the ruling council on matters related to magic.   Lady Seraphina Aurelius:
Lady Seraphina is the matriarch of the family and an accomplished sorceress. Her expertise lies in potion brewing and alchemical studies. Lady Seraphina is also a patron of magical arts and often supports aspiring wizards and alchemists in the city.   Archmage Octavius Aurelius:
Octavius is a prominent member of the Aurelius family and holds the title of Archmage. Known for his mastery of diverse magical disciplines, he plays a key role in overseeing magical research and education within the family and the broader magical community in Mezrillia.   Magistra Isolde Aurelius:
Magistra Isolde is a renowned magical historian and scholar within the Aurelius House. Her expertise in documenting magical traditions and histories has contributed significantly to the family's legacy and the understanding of magic in Mezrillia.   Aurelia Aurelius:
Aurelia, the youngest daughter, is a prodigious sorceress with a talent for elemental magic. Known for her innovative approach to spellcasting, Aurelia has garnered attention for her potential to push the boundaries of magical knowledge within the family.   Professor Magnus Aurelius:
Professor Magnus is a respected faculty member at one of the magical academies in Three Shades. Specializing in the practical applications of magical theory, Magnus is dedicated to training the next generation of wizards and ensuring the continued growth of magical knowledge.   Artificer Lucius Aurelius:
Lucius is an artificer and skilled craftsman within the family. His expertise lies in the creation of magical artifacts, and he is often sought after for his ability to enchant objects with unique and powerful magical properties.   Diplomat Ariadne Aurelius:
Ariadne is the family's diplomatic representative, specializing in magical diplomacy. She engages with magical communities, both within Mezrillia and beyond, fostering alliances and ensuring that the Aurelius House remains well-connected in the magical world.


Magical Expertise:
The Aurelius family is renowned for its magical proficiency and expertise. Members often pursue studies in various magical disciplines, contributing to the city's knowledge of the arcane arts. The family has produced accomplished wizards, sorcerers, and scholars over generations.

Public Agenda

_Someone pasted molecular data at this point_
-- begin --
# 1
# C5H5NO

The molecule C5H5NO in a non-equilibrium geometry (the ωB97M-V functional and the def2-TZVPD basis, the OMol25 dataset).

Each line ends with the Mulliken spin population.
Atoms and positions in Å:
C (0.54, 2.01, 0.22)  0.62
C (-1.54, 0.73, -0.19)  0.34
C (2.17, 0.37, -0.43)  0.85
C (-2.69, 0.12, -0.17)  0.01
C (2.34, -0.85, -0.10)  -0.02
N (-0.59, 1.41, 0.00)  -0.08
O (1.73, 1.47, 0.06)  0.13
H (0.62, 3.17, 0.26)  0.00
H (-2.80, -0.55, 0.57)  0.03
H (-3.36, -0.02, -1.01)  0.03
H (2.03, -1.06, 0.90)  0.06
H (2.71, -1.63, -0.74)  0.02

Calculated values
DFT total energy = -8795.96834 eV
E_HOMO (alpha / beta) = -6.89 / -8.52 eV
Expectation value of S² = 2.024
2S+1 = 3

# 2
# C8H17FeN7O7S

C8H17FeN7O7S as an isolated structure (the ωB97M-V functional and the def2-TZVPD basis, the OMol25 dataset).

Each line ends with the Mulliken spin population.
Atoms and positions in Å:
Fe (1.56, 0.59, 0.22)  1.02
N (0.30, 1.25, 1.68)  0.01
C (-0.70, 2.17, 1.13)  0.00
C (-0.10, 2.90, -0.07)  0.01
O (-0.60, 3.94, -0.51)  0.01
N (0.93, 2.22, -0.56)  -0.03
C (1.68, 2.67, -1.71)  0.00
C (2.97, 1.84, -1.79)  0.00
O (3.84, 2.14, -2.58)  0.01
O (3.00, 0.82, -0.98)  -0.01
H (-0.09, 0.48, 2.23)  0.00
H (0.98, 1.75, 2.25)  0.00
H (-1.08, 2.89, 1.86)  0.00
H (-1.56, 1.60, 0.77)  0.00
H (1.92, 3.74, -1.69)  0.00
H (1.14, 2.48, -2.64)  0.00
C (-2.22, -0.33, -2.57)  0.00
N (-2.25, -1.21, -1.42)  0.00
C (-3.58, -1.37, -0.85)  0.00
C (-1.16, -1.17, -0.56)  0.00
N (-0.20, -0.33, -0.67)  -0.01
N (-1.18, -2.19, 0.38)  0.00
C (-0.35, -2.25, 1.53)  0.00
N (0.50, -3.34, 1.54)  0.00
N (-0.53, -1.41, 2.47)  0.00
H (-3.03, -0.62, -3.24)  0.00
H (-1.28, -0.44, -3.11)  0.00
H (-2.35, 0.72, -2.30)  0.00
H (-4.22, -1.91, -1.54)  0.00
H (-4.04, -0.39, -0.65)  0.00
H (-3.53, -1.91, 0.09)  0.00
H (-0.42, 0.39, -1.34)  0.00
H (-1.44, -3.08, -0.01)  0.00
H (0.97, -3.44, 0.64)  0.00
H (1.21, -3.21, 2.26)  0.00
H (0.22, -1.52, 3.15)  0.00
O (4.37, -1.27, 1.51)  0.00
S (3.00, -0.94, 1.76)  0.00
O (2.45, -1.59, 2.95)  0.00
O (2.10, -1.25, 0.57)  -0.01
O (2.75, 0.57, 1.79)  0.01

Calculated values
DFT total energy = -78562.46530 eV
Total charge = -1
E_HOMO (alpha / beta) = -5.90 / -5.85 eV
Expectation value of S² = 0.920
2S+1 = 2

# 3
# C24H33N2O5PS2TeW

C24H33N2O5PS2TeW as an isolated structure (the ωB97M-V functional and the def2-TZVPD basis, the OMol25 dataset).

Each line ends with the Löwdin charge.
Atoms and positions in Å:
W (0.65, 0.25, -2.08)  1.43
C (-2.03, 2.81, 0.61)  0.00
C (-0.92, 2.30, -0.27)  -0.23
N (-0.92, 1.10, -0.77)  -0.11
N (-2.06, 0.33, -0.45)  -0.03
C (-2.32, -0.54, -1.35)  -1.05
S (-1.32, -0.75, -2.80)  0.57
S (-3.72, -1.57, -1.25)  0.93
C (-4.52, -0.98, 0.26)  -0.41
C (-3.96, -1.55, 1.54)  -0.30
C (-4.10, -2.91, 1.82)  -0.06
C (-3.62, -3.43, 3.02)  -0.09
C (-3.00, -2.60, 3.94)  -0.09
C (-2.85, -1.25, 3.66)  -0.09
C (-3.33, -0.73, 2.46)  -0.05
C (0.16, 3.23, -0.61)  -0.11
C (0.42, 4.33, 0.21)  -0.03
C (1.38, 5.27, -0.13)  -0.08
C (2.07, 5.13, -1.33)  -0.07
-- stop --

Leadership in Magical Academies:
The Aurelius House holds a prominent position in the magical academies of Three Shades. Family members often serve as faculty members, researchers, or advisors within these institutions, influencing the direction of magical education in Mezrillia.   Artifact and Potion Crafting:
Members of the Aurelius family are skilled in the crafting of magical artifacts and potions. They contribute to the enchantment of items that are sought after for their magical properties, adding to the city's economy and reputation for magical craftsmanship.   Arcane Research and Exploration:
The Aurelius House is known for its involvement in arcane research and exploration. Family members may embark on quests to uncover ancient magical knowledge or explore regions with ties to magical phenomena, contributing to Mezrillia's understanding of the arcane.   Cultural Preservation:
The family places importance on the preservation of magical traditions and cultural heritage. This includes the documentation of spells, rituals, and the compilation of magical histories, ensuring that Mezrillia's magical legacy is passed down through generations.   Diplomatic Liaisons:
The Aurelius House often acts as a diplomatic bridge between magical communities and the ruling council of Mezrillia. Their knowledge of the arcane and connections to magical societies make them valuable advisors on matters involving magic and the supernatural.

Lumen Magiae Custodimus

Attached: records of molecules >
+++
[1]
The following is a quantum chemistry calculation of the ion C5H9N4 with charge +1 in a non-equilibrium geometry, from OMol25.

The geometry in ORCA input format:
```
! RIJCOSX wB97M-V def2-TZVPD def2/J DEFGRID3
* xyz 1 1
N 1.118 -0.671 1.584
N 0.516 1.531 -1.260
N -1.983 -0.731 -2.329
N -0.432 1.079 -2.165
C -0.608 -0.137 -0.359
C -0.278 -1.107 1.535
C -1.124 0.069 -1.682
C 0.420 0.778 -0.149
C 1.180 0.774 1.149
H 1.627 -1.385 0.997
H -2.885 -1.071 -1.970
H 1.655 -0.632 2.541
H -0.500 -2.087 1.604
H -1.992 -0.495 -3.326
H 2.157 1.051 1.162
H -0.974 -0.497 2.221
H 1.342 2.045 -1.567
H 0.763 1.485 2.014
*
```

The LUMO energy comes out at -3.67 eV. For the energy above the lowest of the compared OMol25 structures with the same formula, charge and spin, the calculation gives 5.114 eV. Its max |F| is 6.75 eV Å⁻¹.

Results of the natural (NBO) charge analysis, in e, for atoms 1 through 5:
1 N -0.546
2 N -0.337
3 N -0.804
4 N -0.273
5 C -0.033

[2]
The following is a quantum chemistry calculation of the ion C5H9N4O with charge +1 in a non-equilibrium geometry, from OMol25.

The geometry in ORCA input format:
```
! RIJCOSX wB97M-V def2-TZVPD def2/J DEFGRID3
* xyz 1 1
O 1.360 1.899 -0.182
N -0.943 0.697 -0.019
N -0.484 -1.596 -0.146
N 1.578 -0.444 0.042
N -2.656 -0.923 0.317
C -1.348 -0.521 0.072
C -1.474 2.019 -0.331
C 3.058 -0.669 -0.077
C 1.093 0.774 -0.033
C 0.794 -1.555 -0.258
H -2.258 2.414 0.295
H 1.405 -2.512 -0.450
H 3.332 -1.564 0.315
H -0.596 2.734 -0.084
H -1.586 2.032 -1.363
H -2.760 -1.918 0.404
H -3.257 -0.256 0.847
H 3.466 -0.556 -1.036
H 3.529 0.222 0.507
*
```

The LUMO energy comes out at -4.27 eV. For the energy above the lowest of the compared OMol25 structures with the same formula, charge and spin, the calculation gives 2.179 eV. Its max |F| is 5.55 eV Å⁻¹. Its SMILES is C/N=C(N)/N=C\[N+](C)=C=O.

Results of the natural (NBO) charge analysis, in e, for atoms 1 through 5:
1 O -0.423
2 N -0.453
3 N -0.467
4 N -0.484
5 N -0.768

[3]
The following is a quantum chemistry calculation of the ion C5H9N4O2Si with charge -1 in a non-equilibrium geometry, from OMol25.

The geometry in ORCA input format:
```
! RIJCOSX wB97M-V def2-TZVPD def2/J DEFGRID3
* xyz -1 1
Si 1.044 -0.458 0.078
O -3.925 1.896 -1.137
O -4.382 1.017 0.890
N 0.564 -2.039 -0.214
N -1.960 -0.842 -0.062
N -0.532 -2.616 -0.385
N -1.670 -2.093 -0.211
C 2.966 -0.705 0.356
C 0.562 0.623 -1.542
C -2.567 0.130 -0.228
C -3.776 1.187 -0.154
C 0.675 0.760 1.424
H 1.481 1.330 1.676
H 0.160 -0.124 -2.271
H 3.544 0.141 -0.104
H -0.145 1.328 -1.355
H 0.265 0.296 2.419
H 3.188 -1.655 -0.136
H 3.152 -0.696 1.520
H 1.548 1.116 -1.873
H -0.192 1.401 1.309
*
```

The LUMO energy comes out at 3.47 eV. Its max |F| is 5.37 eV Å⁻¹.

Results of the natural (NBO) charge analysis, in e, for atoms 1 through 5:
1 Si 1.677
2 O -0.671
3 O -0.659
4 N -0.797
5 N -0.169

[4]
+++
End of the records of molecules >


Cover image: Family Header by Appy Pie Design
Character flag image: Aurelius House Crest by Appy Pie Design